Organisational structures
Aim of the organisation - OSCAR O – objective S – specialization C – coordination A – authority R – responsibility What does organising mean? deciding, WHO WILL DO tasks that must be performed and WHO WILL BE RESPONSIBLE for seeing, that tasks were done properly.
Organisation chart = diagram that shows how work is divided and where the authority lies The aim of organisation is: To define and effectively use planned activities of people to achieve objectives and other needs of the company. Form of coordinating of activities to achieve objectives of organisations is organisational structure.
Forms of organisational structures Formal – are specified by organisation systems and charts Informal – spontaneus existence in the group of people with schared interest, friendship, sympathy, unofficial channels of communication
Grouping Jobs into Functions Once tasks are grouped into jobs, managers must decide how to group jobs together. Function: people working together with similar skills, tools or techniques to perform their jobs. Functional structure consists of departments such as marketing, production, and finance. Workers can learn from others doing similar tasks. Easy for managers to monitor and evaluate workers. Hard for one department to communicate with others. Managers can become preoccupied with their department and forget the firm + -
A Sample of Functional Structure
Divisional Structures A division is a collection of functions working together to produce a product. Divisions create smaller, manageable parts of a firm. Divisions develop a business-level strategy to compete. A division has marketing, finance, and other functions. Functional managers report to divisional managers who then report to corporate management. Product structure: divisions created according to the type of product or service. Geographic structure: divisions based on the area of a country or world served. Market structure: divisions based on the types of customers served.
Product Structure
Geographic Structure
Market Structure Figure 8.4c
Global Structures When managers find different problems or demands across the globe, global solutions are needed. Global geographic structure: different divisions serve each world region. For customer needs that vary between regions. Global product structure: Customers in different regions buy similar products so firms keep most functional work at home and set up a division to market product abroad.
Matrix & Product Teams Matrix structure: managers group people by function and product teams simultaneously. Results in a complex network of reporting relationships. Very flexible and can respond rapidly to change. Each employee has two bosses which can cause problems. Functional manager gives different directions than product manager and employee cannot satisfy both. Product Team Structure: no 2-way reporting and the members are permanently assigned to the team and empowered to bring a product to market.
Matrix Structure Team Managers = two boss employee CEO Func. Managers Sales Design Production Product team A Team Managers Product team B Product Team Product team C = two boss employee
Organisation structures according to shape or span of control flat structures – wide span structures, tall structures – narrow span structures.
Flat structures Enterprise has got less organisation levels with more subordinates. There is more decentralised management with higher requirements for independence, self-reliance and higher quality of labour.
Tall structures The enterprise has got more organisation levels with less subordinated departments. Generally there is a centralized management.
Organisation structures based on time duration Temporary structures (with limited duration) –existence of structural organisation and configuration has got time limited duration (e.g. team work), With unlimited duration – expected long term duration of these structures There is a tendency to use more temporary structures to achieve more flexible enterprises (team work, project teams)
Tendences of development of organisation structures Hole structures, Network structures, Virtual enterprises, Intra-entrepreneurship.
Hole structures What is outsourcing?
Definition of outsourcing Outsourcing is work done for a company by another company or people other than the original company's employees. Outsourcing entails purchasing a product or process from an outside supplier rather than producing this product or process in-house. The business that is outsourcing will train outsourcing provider to form a supply chain partnership
The enterprise dispose of all activities, which it can buy in expected quality, but cheaper from external suppliers. (outsourcing). Hole structures keep the activities with the highest value added, as research, construction, design, technology, marketing, production, sale, but other activities and services rent from some other firm.
What you can do by outsourcing? Examples: Security Transport Accounting Auditing Cleaning
„Hole“ enterprise for production of track
When to use outsourcing? the price is lower than the internal costs, it is not possible to transport and store the products, the supplier is able to ensure a higher quality, the production rights are not available or are too expansive, internal production is associated with various risks (safety etc.) there is no experience with management of a similar type of production.
/*
No. 1
Density functional theory data (GGA-PBE) for a relaxed structure of Tb2Ga4Co5.

Cell lengths 5.3948, 9.0733, 14.2856 Å; angles 90.00, 90.00, 90.00 degrees
Closest atoms and distances in Å follow each position.
Space group Fmmm (No. 69)
Symmetry-distinct sites (fractional):
Tb 0.0000 0.0000 0.1274 x8  6 Ga 3.05-3.10, 10 Co 3.17-3.25
Ga 0.0000 0.1579 0.3698 x16  5 Co 2.33-2.45
Co 0.0000 0.0000 0.5000 x4  4 Ga 2.35
Co 0.2500 0.2500 0.0000 x8  4 Ga 2.45, 4 Co 2.64-2.70
Co 0.2500 0.2500 0.2500 x8  4 Ga 2.33

Computed properties:
ΔE_f in meV/atom: -337.9
VASP energy in eV per atom: -5.5104
Calculated volume in A^3/atom: 15.89
Total moment in μB per formula unit: 0.70

=====

No. 2
Density functional theory data (GGA-PBE) for a relaxed structure of La2BRu2.

Cell lengths 6.2504, 6.2504, 4.7721 Å; angles 90.00, 90.00, 90.00 degrees
Closest atoms and distances in Å follow each position.
Space group P4/mbm (No. 127)
Symmetry-distinct sites (fractional):
La 0.1787 0.3213 0.0000 x4  2 Ru 2.75
B 0.0000 0.0000 0.5000 x2  4 Ru 2.33
Ru 0.1675 0.6675 0.5000 x4  2 B 2.33

Computed properties:
Energy relative to the lowest polymorph listed for this composition in meV per atom: 0
ΔE_f in meV/atom: 43.5
VASP energy in eV per atom: -6.9733
Calculated volume in A^3/atom: 18.64
Total moment in μB per formula unit: 0.00

=====

No. 3
Density functional theory data (GGA-PBE) for a relaxed structure of Hf2ReHPd.

Cell lengths 4.5399, 4.5399, 3.6125 Å; angles 90.00, 90.00, 90.00 degrees
Closest atoms and distances in Å follow each position.
Space group P4/mmm (No. 123)
Symmetry-distinct sites (fractional):
Hf 0.0000 0.5000 0.0000 x2  2 H 2.27
Re 0.0000 0.0000 0.5000 x1  2 H 1.81
H 0.0000 0.0000 0.0000 x1  2 Re 1.81
Pd 0.5000 0.5000 0.5000 x1  8 Hf 2.90, 4 Re 3.21

Computed properties:
VASP energy in eV per atom: -8.5653
Calculated volume in A^3/atom: 14.89
Total moment in μB per formula unit: 0.00

=====

No. 4
Density functional theory data (GGA-PBE) for a relaxed structure of CaMg15Cd4.

Cell lengths 4.5853, 4.5853, 21.8518 Å; angles 90.00, 90.00, 90.00 degrees
Closest atoms and distances in Å follow each position.
Space group P4/mmm (No. 123)
Symmetry-distinct sites (fractional):
Ca 0.0000 0.0000 0.0000 x1  12 Mg 3.24-3.35
Mg 0.0000 0.5000 0.1116 x4  2 Cd 3.09, 8 Mg 3.14-3.35, 2 Ca 3.35
Mg 0.0000 0.5000 0.3054 x4  8 Mg 3.10-3.24, 4 Cd 3.12-3.15
Mg 0.0000 0.5000 0.5000 x2  4 Cd 3.13, 8 Mg 3.14-3.24
Mg 0.5000 0.5000 0.0000 x1  4 Ca 3.24, 8 Mg 3.35
Mg 0.5000 0.5000 0.2099 x2  8 Mg 3.10-3.14, 4 Cd 3.24
Mg 0.5000 0.5000 0.4019 x2  8 Mg 3.11-3.14, 4 Cd 3.24
Cd 0.0000 0.0000 0.2065 x2  12 Mg 3.09-3.24
Cd 0.0000 0.0000 0.4023 x2  12 Mg 3.12-3.24

Computed properties:
ΔE_f in meV/atom: -63.3
VASP energy in eV per atom: -1.5423
Calculated volume in A^3/atom: 22.97
Total moment in μB per formula unit: 0.00

=====

> Look up the calculated volume of the fourth one.

22.97 A^3/atom

* * * * *

(1)
# PmScTe2
*/
Here the page continues =
When is not outsourcing advantageous? the price is higher than the internal supply, it is not possible to transport and store the products free manufacturing capacities are available, capital is available and is not used sufficently, know-how and patents are available, nobody react to the demand
Network structures The enterprises are connected together and participate on individual stages – preproduction, production and after production stage. From outside they figure as independent, but the product can be made only with the cooperation.
Network structure
Virtual organisation Flexible variante of network organisatin. It does not have a fixed structure, it changes according to objective and activity. It is a free organisation of firms for limited time on some purpose for realisation of specific purchuase order. Virtual enterprise works, deliver, even if it does not exist as independent. It is a form of firm cooperation (consorcium), when firms enter to the alliance to combine their limited possibilities and connected their research, production, sale or other potenctial.
Intra-entrepreneurship Simulation of market situation and business conditions inside the firm. Firm is divided in SBU = Strategic Business Units with high autonomy. There is „firm in the firm“. SBU behaves as independent, sovereign firms with defined customers, competitors, mission, objectives, plans and have self-management, resources. They are responsible for their business results (profit, loss) but they are also limited with central management and its strategy.
Organisation structure - SBU
Attached: crystal structures >
- - -
Material: ScTiCu
Method: DFT, PBE
State: relaxed

a b c (Å): 5.4088 5.4088 4.5499
angles (deg): 90.00 90.00 128.74
Atoms (fractional coordinates):
Sc  0.2370  0.7630  0.7500
Sc  0.7630  0.2370  0.2500
Ti  0.4577  0.5423  0.2500
Ti  0.5423  0.4577  0.7500
Cu  0.0811  0.9189  0.2500
Cu  0.9189  0.0811  0.7500

## Properties
Energy relative to the elements ... -0.003 eV/atom
Calculated density ... 5.002 g/cm3
Symmetry ... No. 63
DFT total energy ... -36.66 eV/cell
Total magnetization ... 0.000 μB per cell
Calculated volume ... 51.92 Å³/f.u.

Material: SrScP2S
Method: DFT, PBE
State: relaxed

a b c (Å): 4.9644 4.9644 5.0089
angles (deg): 90.00 90.00 90.00
Atoms (fractional coordinates):
Sr  0.0000  0.0000  0.0000
Sc  0.5000  0.5000  0.5000
P  0.0000  0.5000  0.5000
P  0.5000  0.0000  0.5000
S  0.5000  0.5000  0.0000

## Properties
Calculated density ... 3.048 g/cm3
Symmetry ... No. 123
DFT total energy ... -26.62 eV/cell
Total magnetization ... 0.000 μB per cell
Formation energy (no corrections) ... -0.732 eV/atom
Calculated volume ... 123.45 Å³/f.u.

Material: Tb2PmZn2
Method: DFT, PBE
State: relaxed

a b c (Å): 3.6430 5.2313 13.4489
angles (deg): 90.00 97.81 90.00
Atoms (fractional coordinates):
Tb  0.0464  0.2500  0.0929
Tb  0.2323  0.2500  0.4654
Tb  0.7677  0.7500  0.5346
Tb  0.9536  0.7500  0.9071
Pm  0.1441  0.7500  0.2859
Pm  0.8559  0.2500  0.7141
Zn  0.3595  0.7500  0.7195
Zn  0.4530  0.2500  0.9060
Zn  0.5470  0.7500  0.0940
Zn  0.6405  0.2500  0.2805

## Properties
Energy relative to the elements ... -0.257 eV/atom
Calculated density ... 7.764 g/cm3
Symmetry ... No. 11
DFT total energy ... -35.69 eV/cell
Total magnetization ... 0.001 μB per cell
Calculated volume ... 126.96 Å³/f.u.
- - -
Process organisation PROCESS – system connection of activities. Example – material orders. ACTION – system connection of individual activities. Example – material orders. ACTIVITY – basic element of business process, which is possible to clasify from the point of view of costs, which are spent for this activity. Example – discharge of pallets with material by the fort-lift track